Job =
Could you echo the part of the contents further down that starts with the line with "-2.554 0.000" and stops after the one with "24.53"?

Excerpt =
********
Record 1
This entry pairs a crystal structure of Sc5Re3 with its theoretical powder XRD pattern. Radiation: a wavelength of 1.5418 Å. Structure: DFT lattice parameters and positions (PBE).
Kinematic intensities with the Lorentz-polarization factor, no thermal factor.

Principal peaks in the range 2θ = 10–80°, by intensity:
two_theta  I_rel
26.22  100
37.42  77
25.00  76
38.65  72
38.16  61
38.41  61
23.41  43
25.22  33
37.92  32
49.91  28

Structural model:
```
Sc5Re3
1.0
2.634 -7.610 0.000
2.634 7.610 0.000
-2.554 0.000 7.591
Sc Re
10 6
direct
0.079 0.720 0.800
0.226 0.427 0.640
0.245 0.245 0.990
0.280 0.921 0.200
0.427 0.226 0.640
0.573 0.774 0.360
0.720 0.079 0.800
0.755 0.755 0.010
0.774 0.573 0.360
0.921 0.280 0.200
0.131 0.131 0.334
0.250 0.750 0.500
0.335 0.665 0.000
0.665 0.335 0.000
0.750 0.250 0.500
0.869 0.869 0.666
```

Record 2
This entry pairs a crystal structure of Se5Cl with its theoretical powder XRD pattern. Radiation: a wavelength of 1.5418 Å. Structure: DFT lattice parameters and positions (PBE).
Kinematic intensities with the Lorentz-polarization factor, no thermal factor.

Principal peaks in the range 2θ = 10–80°, by intensity:
two_theta  I_rel
20.33  100
35.86  53
36.39  49
40.10  16
51.62  16
10.46  14
47.56  13
46.27  13
56.06  12
31.71  11

Structural model:
```
Se5Cl
1.0
5.909 -1.770 0.000
5.909 1.770 0.000
-4.110 0.000 8.457
Se Cl
5 1
direct
0.000 0.000 0.000
0.004 0.004 0.586
0.333 0.333 0.914
0.387 0.387 0.388
0.700 0.700 0.680
0.699 0.699 0.183
```

Record 3
This entry pairs a crystal structure of PrAl2Au8 with its theoretical powder XRD pattern. Radiation: a wavelength of 1.5418 Å. Structure: DFT lattice parameters and positions (PBE).
Kinematic intensities with the Lorentz-polarization factor, no thermal factor.

Principal peaks in the range 2θ = 10–80°, by intensity:
two_theta  I_rel
38.80  100
31.50  66
22.08  59
45.15  41
33.41  33
50.80  27
79.05  26
46.56  25
65.72  23
66.77  20

Structural model:
```
PrAl2Au8
1.0
5.680 0.000 0.000
0.000 5.680 0.000
0.000 0.000 8.053
Pr Al Au
1 2 8
direct
0.000 0.000 0.000
0.000 0.500 0.500
0.500 0.000 0.500
0.255 0.255 0.289
0.255 0.255 0.711
0.255 0.745 0.289
0.255 0.745 0.711
0.745 0.255 0.289
0.745 0.255 0.711
0.745 0.745 0.289
0.745 0.745 0.711
```

=====

[1]
Theoretical powder XRD pattern of Sc4GaSe for Cu Ka, from a crystal structure in Alexandria, relaxed with PBE.
No peak broadening, texture or thermal motion is included.

Most intense lines, 2θ from 15° to 90°, in order of rising 2θ:
Position (°2θ)	I (rel.)
18.50	25
32.52	26
36.24	63
36.51	36
37.79	100
38.89	67
43.47	25
52.39	24

Structural model:
Cell lengths 9.818, 9.818, 5.754 Å; angles 90.00, 90.00, 150.75 degrees
Sites, in units of the cell vectors:
Sc (0.063, 0.937, 0.750)
Sc (0.210, 0.790, 0.507)
Sc (0.210, 0.790, 0.993)
Sc (0.372, 0.628, 0.750)
Sc (0.628, 0.372, 0.250)
Sc (0.790, 0.210, 0.007)
Sc (0.790, 0.210, 0.493)
Sc (0.937, 0.063, 0.250)
Ga (0.348, 0.652, 0.250)
Ga (0.652, 0.348, 0.750)
Se (0.077, 0.923, 0.250)
Se (0.923, 0.077, 0.750)


[2]
Theoretical powder XRD pattern of Ba10Ge7O3 for Cu Ka, from a crystal structure in Alexandria, relaxed with PBE.
No peak broadening, texture or thermal motion is included.

Most intense lines, 2θ from 15° to 90°, in order of rising 2θ:
Position (°2θ)	I (rel.)
24.53	13
28.72	100
29.67	12
34.39	17
35.53	19
48.81	15
50.28	11
59.69	12

Structural model:
Cell lengths 12.045, 12.045, 5.053 Å; angles 90.00, 90.00, 120.00 degrees
Sites, in units of the cell vectors:
Ba (0.000, 0.000, 0.000)
Ba (0.004, 0.502, 0.500)
Ba (0.209, 0.418, 0.000)
Ba (0.209, 0.791, 0.000)
Ba (0.422, 0.211, 0.000)
Ba (0.498, 0.502, 0.500)
Ba (0.498, 0.996, 0.500)
Ba (0.582, 0.791, 0.000)
Ba (0.789, 0.211, 0.000)
Ba (0.789, 0.578, 0.000)
Ge (0.211, 0.001, 0.500)
Ge (0.211, 0.210, 0.500)
Ge (0.333, 0.667, 0.500)
Ge (0.790, 0.001, 0.500)
Ge (0.790, 0.789, 0.500)
Ge (0.999, 0.210, 0.500)
Ge (0.999, 0.789, 0.500)
O (0.533, 0.067, 0.000)
O (0.533, 0.467, 0.000)
********

Reply =
-2.554 0.000 7.591
Sc Re
10 6
direct
0.079 0.720 0.800
0.226 0.427 0.640
0.245 0.245 0.990
0.280 0.921 0.200
0.427 0.226 0.640
0.573 0.774 0.360
0.720 0.079 0.800
0.755 0.755 0.010
0.774 0.573 0.360
0.921 0.280 0.200
0.131 0.131 0.334
0.250 0.750 0.500
0.335 0.665 0.000
0.665 0.335 0.000
0.750 0.250 0.500
0.869 0.869 0.666
```

Record 2
This entry pairs a crystal structure of Se5Cl with its theoretical powder XRD pattern. Radiation: a wavelength of 1.5418 Å. Structure: DFT lattice parameters and positions (PBE).
Kinematic intensities with the Lorentz-polarization factor, no thermal factor.

Principal peaks in the range 2θ = 10–80°, by intensity:
two_theta  I_rel
20.33  100
35.86  53
36.39  49
40.10  16
51.62  16
10.46  14
47.56  13
46.27  13
56.06  12
31.71  11

Structural model:
```
Se5Cl
1.0
5.909 -1.770 0.000
5.909 1.770 0.000
-4.110 0.000 8.457
Se Cl
5 1
direct
0.000 0.000 0.000
0.004 0.004 0.586
0.333 0.333 0.914
0.387 0.387 0.388
0.700 0.700 0.680
0.699 0.699 0.183
```

Record 3
This entry pairs a crystal structure of PrAl2Au8 with its theoretical powder XRD pattern. Radiation: a wavelength of 1.5418 Å. Structure: DFT lattice parameters and positions (PBE).
Kinematic intensities with the Lorentz-polarization factor, no thermal factor.

Principal peaks in the range 2θ = 10–80°, by intensity:
two_theta  I_rel
38.80  100
31.50  66
22.08  59
45.15  41
33.41  33
50.80  27
79.05  26
46.56  25
65.72  23
66.77  20

Structural model:
```
PrAl2Au8
1.0
5.680 0.000 0.000
0.000 5.680 0.000
0.000 0.000 8.053
Pr Al Au
1 2 8
direct
0.000 0.000 0.000
0.000 0.500 0.500
0.500 0.000 0.500
0.255 0.255 0.289
0.255 0.255 0.711
0.255 0.745 0.289
0.255 0.745 0.711
0.745 0.255 0.289
0.745 0.255 0.711
0.745 0.745 0.289
0.745 0.745 0.711
```

=====

[1]
Theoretical powder XRD pattern of Sc4GaSe for Cu Ka, from a crystal structure in Alexandria, relaxed with PBE.
No peak broadening, texture or thermal motion is included.

Most intense lines, 2θ from 15° to 90°, in order of rising 2θ:
Position (°2θ)	I (rel.)
18.50	25
32.52	26
36.24	63
36.51	36
37.79	100
38.89	67
43.47	25
52.39	24

Structural model:
Cell lengths 9.818, 9.818, 5.754 Å; angles 90.00, 90.00, 150.75 degrees
Sites, in units of the cell vectors:
Sc (0.063, 0.937, 0.750)
Sc (0.210, 0.790, 0.507)
Sc (0.210, 0.790, 0.993)
Sc (0.372, 0.628, 0.750)
Sc (0.628, 0.372, 0.250)
Sc (0.790, 0.210, 0.007)
Sc (0.790, 0.210, 0.493)
Sc (0.937, 0.063, 0.250)
Ga (0.348, 0.652, 0.250)
Ga (0.652, 0.348, 0.750)
Se (0.077, 0.923, 0.250)
Se (0.923, 0.077, 0.750)


[2]
Theoretical powder XRD pattern of Ba10Ge7O3 for Cu Ka, from a crystal structure in Alexandria, relaxed with PBE.
No peak broadening, texture or thermal motion is included.

Most intense lines, 2θ from 15° to 90°, in order of rising 2θ:
Position (°2θ)	I (rel.)
24.53	13